Slenderiiz & Xceler8

$161.36 (USD)

Slenderiix Clinical Trial Proves The Average Weight Loss Is 13-16 Pounds in 28 Days!

The one-of-a-kind formula is made up of 100 percent homeopathic ingredients

When used together in a signature 1250-calorie program, Slenderiix™ and Xceler8 support speedy weight loss, including stubborn belly fat, and reduce the odds of “rebound weight gain.”




Slenderiiz Weight Management System


Dr. Ray Strand – Optimizing Fat Loss with Slenderiix & Xceler8 by ARIIX


Q: What should I expect when starting this program?

A: You can expect to be hungry the first couple of days during the diet. After about 48hours, the Slenderiix™ drops will begin to curb your hunger. Factors that ensure weight loss include regular exercise and improved dietary habits, such as making fibous vegetables like broccoli,cauliflowe, and brussels sprouts part of your lunch and dinner meals. Fiber and water intake are extremely important to your success with this program.

Q: Should I exercise while following this diet?

A: Yes. However – as you exercise, you need to offset calories burned with an increased consumption of calories. For example: If you run and burn 300 calories then you need to balance that out by consuming 75% of those 300 calories (or an additional 225 calories). But remember that you may only eat from the approved proteins and vegetables. No extra fruit. It is important to note that vigorous exercise will slow your weight loss. You will lose inches, but your overall weight loss will be noticeably slower.

Q: What if I need to cheat, what can I do without completely falling apart?

A: This is one of our most-asked questions. If you are going to cheat, then cheat with lean proteins or green vegetables. Please don’t eat any sweets, ice cream or other types of simple sugars. If you do, it can set your diet back 3 to 4 days. Small cheats will not usually cause a sudden weight gain, but they may cause you to be unable to lose any weight for 3 to 4 days. Obviously we prefer that you not cheat, but if you do, be smart in your approach. Whatever you do, do it in moderation and don’t let cheating set you back so far that you give up on the diet altogether. Remember, you will not meet your weight loss goals if you quit on the diet!

Q: What do I do if I hit a plateau?

A: It is normal to experience a plateau (where weight loss stops) for 2 to 5 days. If it persists past 6 days, you need to do one of two things:

    • Option 1: For one full day, eat nothing but protein (and Slenderiix™ & Xceler8 drops). Again, eat nothing but protein and drink only water.
    • Option 2: Drink 3 PureNourish shakes a day with two apples or 2 cups of organic baby spinach blended in your shake (plus Slenderiix™ & Xceler8 drops) and plenty of water. Trying one of these 2 options should push your metabolism out of the plateau and allow you to continue your weight loss.

Q: What should I do if I get a headache?

A: In some cases people can get headaches when following a lower calorie diet. To alleviate this you can drink an electrolyte-rich beverage with zero or low calories. Coconut water is a great choice.

Q: What if I want to exercise while following this diet?

A: This diet is extremely flexible. If you would like to exercise then you need to offset calories burned with an increased consumption of calories. For example: If you run and burn 300 calories then you need to balance that out by consuming 75% of those 300 calories (or an additional 225 calories consumed). But you may only eat from the approved proteins and vegetables. No extra fruit. It is important to note that vigorous exercise will slow your weight loss. You will lose inches, but your overall weight loss will be noticeably slower.

Q: How about the safety and side effects of ARIIX’s Weight Management program?

A: There are no known side effects associated with using Slenderiix or Xceler8. However as with any weight loss program you should consult your doctor prior to beginning.

Q: How long do I leave the Slenderiix drops under my tongue and what do I do after?

A: It is best to leave the Homeopathic Slenderiix Drops under your tongue for 10 seconds. After that, you can simply swallow the liquid. It’s also important to not have anything to eat or drink 10 minutes before or after you take the drops.

Q: Why the 1250-calorie diet?

A: Because you are only consuming 1250 calories, Slenderiix signals your hypothalamus to mobilize fat out of your body’s fat storage areas makes it available for you to burn as you go about your daily activities.

Q: What preparations are required for Slenderiix drops?

A: The most important preparation you can do is to mentally make the decision to follow the diet. You must stay on the diet for it to work. The great news is that in 30 days you may be a totally new you.

-- Records of crystals, kept here for reference --
Record 1
Compound: PSe2S6
Source: the Alexandria database
Functional: PBE-GGA
Structure: optimized geometry

CIF file:
```
data_PSe2S6
_space_group_name_H-M_alt 'C 1 2/c 1'
_space_group_IT_number 15
_space_group_name_Hall '-C 2yc'
_cell_length_a 14.119
_cell_length_b 7.108
_cell_length_c 13.196
_cell_angle_alpha 90.00
_cell_angle_beta 116.54
_cell_angle_gamma 90.00
loop_
_atom_site_label
_atom_site_type_symbol
_atom_site_fract_x
_atom_site_fract_y
_atom_site_fract_z
P1 P 0.000 0.097 0.250
Se1 Se 0.112 0.461 0.176
S1 S 0.049 0.264 0.392
S2 S 0.107 0.060 0.712
S3 S 0.152 0.313 0.802
```

Computed properties:
* formation energy without anion corrections: 0.1315 eV per atom
* N(E_F): 11.459 states/eV per cell

=====

Record 2
Compound: RbTaPd2
Source: the Alexandria database
Functional: PBE-GGA
Structure: optimized geometry

CIF file:
```
data_RbTaPd2
_space_group_name_H-M_alt 'F m -3 m'
_space_group_IT_number 225
_space_group_name_Hall '-F 4 2 3'
_cell_length_a 6.899
_cell_length_b 6.899
_cell_length_c 6.899
_cell_angle_alpha 90.00
_cell_angle_beta 90.00
_cell_angle_gamma 90.00
loop_
_atom_site_label
_atom_site_type_symbol
_atom_site_fract_x
_atom_site_fract_y
_atom_site_fract_z
Rb1 Rb 0.000 0.000 0.000
Ta1 Ta 0.000 0.000 0.500
Pd1 Pd 0.250 0.250 0.250
```

Computed properties:
* energy of formation: 0.8716 eV per atom
* energy above the lowest structure with this stoichiometry: 163.2 meV per atom
* N(E_F): 16.065 states/eV per cell

=====

Record 3
Compound: CeVRu2
Source: the Alexandria database
Functional: PBE-GGA
Structure: optimized geometry

CIF file:
```
data_CeVRu2
_space_group_name_H-M_alt 'P 4/m m m'
_space_group_IT_number 123
_space_group_name_Hall '-P 4 2'
_cell_length_a 4.601
_cell_length_b 4.601
_cell_length_c 3.225
_cell_angle_alpha 90.00
_cell_angle_beta 90.00
_cell_angle_gamma 90.00
loop_
_atom_site_label
_atom_site_type_symbol
_atom_site_fract_x
_atom_site_fract_y
_atom_site_fract_z
Ce1 Ce 0.000 0.000 0.000
V1 V 0.500 0.500 0.000
Ru1 Ru 0.000 0.500 0.500
```

Computed properties:
* energy of formation: -0.0665 eV per atom
* N(E_F): 5.567 states/eV per cell

=====

Record 4
Compound: K2TbCl4
Source: the Alexandria database
Functional: PBE-GGA
Structure: optimized geometry

CIF file:
```
data_K2TbCl4
_space_group_name_H-M_alt 'I 4/m m m'
_space_group_IT_number 139
_space_group_name_Hall '-I 4 2'
_cell_length_a 5.350
_cell_length_b 5.350
_cell_length_c 16.211
_cell_angle_alpha 90.00
_cell_angle_beta 90.00
_cell_angle_gamma 90.00
loop_
_atom_site_label
_atom_site_type_symbol
_atom_site_fract_x
_atom_site_fract_y
_atom_site_fract_z
K1 K 0.000 0.000 0.142
Tb1 Tb 0.000 0.000 0.500
Cl1 Cl 0.000 0.000 0.333
Cl2 Cl 0.000 0.500 0.000
```

Computed properties:
* formation energy without anion corrections: -1.8558 eV per atom
* N(E_F): 5.603 states/eV per cell

=====

Record 5
Compound: Tb2AlCo
Source: the Alexandria database
Functional: PBE-GGA
Structure: optimized geometry

CIF file:
```
data_Tb2AlCo
_space_group_name_H-M_alt 'R -3 m'
-- The records of crystals stop here --

Q: What to expect.

A: You can expect to be hungry the first couple of days during the diet. After about 48 hours the Slenderiix and Xceler8 Drops begin to curb your hunger and release fat stores to help feed your body. Factors that ensure faster weight loss include making fibrous vegetables like broccoli, cauliflower, and Brussels sprouts part of your lunch and dinner meals. Fiber and water intake are extremely important to your success with this program.

Q: How does Slenderiix work?

A: It is theorized that Slenderiix causes your hypothalamus to mobilize fat out of your body’s fat storage areas and makes it available for use.

  • There are three types of fat found in your body.
  • Structured Fat: Found between the joints and organs
  • Normal Fat: Located throughout the body; used to meet the body’s daily nutritional needs.
  • Abnormal Fat: Deposits causing obesity; only drawn upon during starvation and pregnancy.

By restricting your caloric intake the body can only draw upon the structural and normal fat reserves. That is why starvation diets alone do not work and actually cause people to gain weight. The body compensates for low food intake by beginning to store more fat.

Q: What if I want to take in fewer calories?

A: Our program is built on 1250 calories but you may choose at your sole discretion to take in fewer calories to increase your weight loss. We suggest you discuss this with your doctor prior to beginning any new weight loss program.

Q: Why is Slenderiix Drops your best choice?

Data records that have nothing to do with the piece.
Compound: CaPrCdCu
Source: Alexandria via LeMat-Bulk
Functional: PBE
Structure: relaxed Values from VASP.

## Properties
Raw total energy   -3.142 eV per atom
N(E_F)   0.853 states/eV per atom
SG   F-43m (216)

Geometry as Quantum ESPRESSO input:
```
&SYSTEM
  ibrav = 0, nat = 4, ntyp = 4
/
ATOMIC_SPECIES
Cu 63.55 Cu.upf
Pr 140.91 Pr.upf
Cd 112.41 Cd.upf
Ca 40.08 Ca.upf
ATOMIC_POSITIONS angstrom
Back to the piece.

There are many reasons; here are the top 4:

    1. Slenderiix Drops is manufactured in the USA by an FDA-approved facility.
    2. Slenderiix Drops give you a Hormone-Free formula to maximize your diet results by providing a 100% homeopathic formula.
    3. Slenderiix is a complete formula. It is not a watered-down version of amino acids.
    4. Slenderiix uses a multi-phased approach combined with a 1250-calorie diet to promote sustainable weight loss. Keeping you at your ideal weight is our mantra.

Q: How do I use the Xceler8 complex with Slenderiix?

A: Slenderiix is a homeopathic synergistic blend of ingredients that work together to help you lose weight fast. Xceler8 helps ensure maximum effectiveness when used with Slenderiix Drops. It does this in 3 ways. First, it optimizes absorption of everything you eat and drink, including the Slenderiix drops. This ensures you receive more nutrients from the food you eat. Second, it supports increased blood circulation throughout the body. The boosted blood flow, especially through the extremities, helps you and your joints feel better. Third, you will experience increased energy.

All the items below are homeopathic – non-chemical solutions

# Next to the page, the page also holds crystal structures
=====
# TmIn5Pt4 | Alexandria | PBE-GGA | optimized geometry
# Calculated total energy (eV per atom): -4.779
# V (Å³ per atom): 21.42
# Formation enthalpy at 0 K (meV per atom): -546
data_TmIn5Pt4
_symmetry_space_group_name_H-M 'P 1'
_symmetry_Int_Tables_number 1
_symmetry_space_group_name_Hall 'P 1'
_cell_length_a 4.699
_cell_length_b 6.726
_cell_length_c 7.872
_cell_angle_alpha 114.36
_cell_angle_beta 107.37
_cell_angle_gamma 90.00
loop_
_atom_site_label
_atom_site_type_symbol
_atom_site_fract_x
_atom_site_fract_y
_atom_site_fract_z
Pt1 Pt 0.665 0.416 0.329
Pt2 Pt 0.335 0.584 0.671
Pt3 Pt 0.008 0.750 0.016
Pt4 Pt 0.992 0.250 0.984
Tm1 Tm 0.500 0.000 0.000
In1 In 0.500 0.500 0.000
In2 In 0.167 0.165 0.334
In3 In 0.827 0.320 0.654
In4 In 0.173 0.680 0.346
In5 In 0.833 0.835 0.666
=====

Ammonium Bromatum: Indicated in chronic laryngeal and pharyngeal catarrh, neuralgic headaches, and obesity.

Avena Sativa: Exhibits selective action on brain and nervous system, favorably influencing their nutritive function. Indicated in nervous exhaustion, sexual debility, and addictive morphine habit. Best tonic for debility after exhausting diseases and sleeplessness, especially of alcoholics. Also addresses nervous states of many chronic female concerns.

Calcarea Carbonica: Chief action is supporting impaired nutritional metabolism; the glands, skin, and bones, being most instrumental in changes evidenced. Needed for increased local and general perspiration [for normal systemic detoxification]… nausea, acidosis, and breathlessness, a jaded state—mental or physical, due to overwork.

Fucus Vesiculosis: A remedy for obesity and non-toxic goiter, thyroid enlargement in obese patients. Digestion is enhanced, normalizing obstinate constipation, and flatulence diminished.

Graphites: An anti-psoric carbon, most active in stout individuals with fairer complexions, with tendencies toward skin affections and constipation, excess fat storage with tendency to obesity, chronic low body temperature, with delayed menstrual history, who become cold easily, may suffer anæmia with redness of face, tendency toward inflammation of the pylorus or duodenal illness.

Ignatia Amara: One of the chief remedies for hysteria. It is especially adapted to the nervous temperament of women who are of sensitive, easily excited nature, quick to react, rapid in execution and change of mental and physical condition, nervous, apprehensive, rigid, trembling who suffer acutely with mental or physical stress.

Lycopodium Clavatum: Supports conditions where ailments are gradually developing with functional weakening regarding digestion, liver function, and predisposition to uric acid metabolism, intolerance to cold and muscular strength. Marked regulating influence upon the glandular (sebaceous) secretions, those benefitting from Lycopodium lack vital heat [indicating lower than optimal metabolism] have poor circulation, with cold extremities, acute temporary pains, and sensitivity to noise and odors.

Nux Vomica: Typical individuals calmed by Nux are thin, spare, quick, active, nervous, and irritable.Especially adapted to digestive disturbances, flatulent abdominal distention and hypochondrial states, Nux may also address conditions such as ravenous hunger, sour taste in mouth, nausea in the morning after eating; weight and pain in stomach, and feeling worse after eating.

Sulfuricum Acidum: This remedy supports those with chronic acidosis, digestive tract abnormalities, and may be evidenced by a craving for stimulants. Tremor and weakness, hurried temperament, hot flashes followed by perspiration with trembling, diminished rate of healing after medical procedures, gastralgia and hypochlorrhydria.

Thyroidinum: Exercises a general regulating influence over the mechanism of the organs of nutrition, growth and development. Used in psoriasis, tachycardia, arrested development in children, linked to improvement in memory, goiter, obesity, mammary tumors, uterine fibroids, fibroid tumors of the breast. Addresses the sensation of faintness and nausea, extreme weakness and hunger, sensitivity to cold and symptoms of Hypothyroidism after acute diseases, i.e, weakness, easy fatigue, weak pulse.